Lapadoússa, an Isle of Pelagie

The first scenes of Fate’s Door take place in the cottage of the fates, in Scandia (Scandinavia). So I didn’t worry too much about the exact location of my sea nymph heroine’s home while I wrote those scenes.

Oh, I knew that she grew up in a reef palace offshore from a Mediterranean island. But precisely which island and where didn’t need to be determined. Not yet.

That changed the instant I finished Part 1 and wanted to begin Part 2.

“Where the heck is Nerine’s island?” I asked myself.


I knew it was not in the eastern reaches, the Levantine basin. Nor the western portion near the Pillars of Herakles (Strait of Gibraltar). Nor right off the coast of Greece itself.

┌──
The following is a quantum chemistry calculation of a structure of composition C12H24AuN4NbOSe, from the OMol25 dataset.

```
! RIJCOSX wB97M-V def2-TZVPD def2/J DEFGRID3
* xyz 2 1
N -1.25579 0.58138 -1.91047
C -2.36327 0.71924 -2.40759
O -3.39487 0.84847 -2.96667
Au 2.57686 -0.01530 -2.10729
Nb 0.31585 0.29687 -0.66991
N 0.84125 2.04346 0.14609
N 1.57460 -1.37725 -0.66680
C 0.00920 3.22269 0.42160
C 1.64585 -2.70814 -1.32154
C -0.00297 4.05946 -0.85221
C 0.61350 4.03132 1.57210
C -1.40754 2.82650 0.80601
C 3.10154 -3.02503 -1.68098
C 1.13686 -3.79396 -0.38236
C 0.81384 -2.64382 -2.59029
H 1.00898 4.37630 -1.12486
H -0.61798 4.95463 -0.70294
H -0.41414 3.48749 -1.69262
H 0.73887 3.39565 2.45400
H -0.06992 4.85156 1.82650
H 1.57869 4.47970 1.31182
H -1.92117 2.26334 0.01901
H -1.97175 3.75235 0.99064
H -1.40473 2.23856 1.73123
H 3.52104 -2.21354 -2.29614
H 3.13697 -3.96372 -2.25440
H 3.71553 -3.13770 -0.78099
H 1.81718 -3.94049 0.46221
H 1.10745 -4.74218 -0.93278
H 0.12922 -3.57093 -0.01824
H -0.25296 -2.49392 -2.37399
H 0.92662 -3.58762 -3.14342
H 1.16565 -1.82474 -3.23362
C 2.19064 -1.27855 0.69145
H 1.76706 -0.39661 1.21418
H 1.94036 -2.16263 1.29244
H 3.28592 -1.16948 0.64009
C 2.28508 2.32231 0.15140
H 2.74059 2.08094 1.12601
H 2.81179 1.75833 -0.64272
H 2.42737 3.38448 -0.07750
Se -3.08615 -1.39851 2.46324
C -1.82380 -0.86016 1.40938
N -0.93528 -0.47737 0.66530
*
```

## Properties
Orbital gap (eV): 5.311
Electronic energy (a.u.): -3359.37242

These are the Mulliken partial charges, in e, on atoms 1 to 6:
1 N -0.692
2 C 0.645
3 O -0.364
4 Au 0.390
5 Nb 1.509
6 N 0.283

----------

Record 1
{
  "formula": "C50H47N3O3P2W",
  "method": "ωB97M-V/def2-TZVPD",
  "total_charge": 0,
  "de_lowest_kcal_mol": 121.8,
  "max_force_ev_per_a": 1.2,
  "s2": 2.03,
  "total_energy_ha": -3073.1640,
  "multiplicity": 3,
  "lumo_ev": [-0.2763, -0.5383],
  "gap_ev": [6.30, 6.84],
  "symbols": ["W", "C", "O", "C", "C", "C", "C", "C", "C", "N", "N", "C", "O", "C", "C", "C", "C", "C", "C", "C", "O", "H", "H", "H", "H", "H", "H", "H", "H", "H", "H", "H", "H", "C", "C", "P", "C", "C", "C", "C", "C", "C", "C", "C", "C", "C", "C", "C", "C", "P", "C", "C", "C", "C", "C", "C", "C", "C", "C", "C", "C", "C", "H", "H", "H", "H", "H", "H", "H", "H", "H", "H", "H", "H", "H", "H", "H", "H", "H", "H", "H", "H", "H", "H", "H", "H", "H", "H", "C", "C", "C", "C", "C", "C", "C", "C", "N", "H", "H", "H", "H", "H", "H", "H", "H", "H"],
└──

No, it was centrally located and not too near the coast of either Europe or Africa.

I started searching maps and googling locations. And the island cluster I was looking for turned up pretty quickly.

Pelagie_Islands_mapThe Isles of Pelagie are located in the broad Strait of Sicily that separates the western basin of the Mediterranean from the eastern. To the north is Sicily, to the south, Tunisia. The waters of the strait are shallower, with a deep current that moves from east to west, and a surface one that moves from west to east.

1.
{"formula": "C31H49ClN5O7P", "method": "ωB97M-V/def2-TZVPD", "gap_ev": 8.5, "species": ["C", "C", "O", "C", "C", "O", "C", "O", "P", "O", "O", "C", "C", "C", "Cl", "O", "C", "C", "C", "O", "H", "H", "H", "H", "H", "H", "H", "H", "H", "H", "H", "H", "H", "H", "H", "H", "H", "H", "H", "H", "H", "H", "H", "H", "C", "C", "C", "N", "C", "H", "H", "H", "H", "H", "C", "C", "C", "N", "C", "H", "H", "H", "H", "H", "C", "C", "C", "N", "C", "H", "H", "H", "H", "H", "C", "C", "C", "N", "C", "H", "H", "H", "H", "H", "C", "C", "C", "N", "C", "H", "H", "H", "H", "H"], "positions_angstrom": [[-3.68, -1.95, 5.91], [-2.19, -1.56, 5.80], [-1.95, -0.45, 4.95], [-2.13, -0.74, 3.58], [-1.09, -1.70, 3.00], [-0.69, -1.16, 1.74], [-0.04, -2.08, 0.91], [0.69, -1.23, 0.02], [1.87, -1.94, -0.79], [1.61, -3.33, -1.14], [1.99, -0.92, -1.98], [3.24, -0.65, -2.63], [3.91, -1.90, -3.18], [3.07, -2.64, -4.21], [2.80, -1.61, -5.66], [3.16, -1.80, 0.12], [3.31, -0.80, 1.15], [4.75, -0.26, 1.26], [5.75, -0.96, 0.35], [5.16, -0.32, 2.62], [-4.03, -1.83, 6.93], [-4.30, -1.34, 5.25], [-3.83, -2.99, 5.64], [-1.59, -2.43, 5.51], [-1.82, -1.25, 6.78], [-2.06, 0.21, 3.05], [-3.14, -1.13, 3.41], [-1.51, -2.70, 2.85], [-0.23, -1.77, 3.68], [-0.75, -2.68, 0.34], [0.64, -2.72, 1.48], [3.91, -0.11, -1.96], [3.00, 0.02, -3.45], [4.85, -1.58, -3.65], [4.16, -2.61, -2.39], [3.60, -3.53, -4.54], [2.10, -2.92, -3.82], [3.08, -1.29, 2.11], [2.60, 0.01, 0.99], [4.73, 0.80, 1.01], [5.68, -2.05, 0.42], [5.64, -0.66, -0.69], [6.75, -0.66, 0.66], [5.58, -1.17, 2.78], [6.56, 3.07, -3.83], [6.34, 1.75, -4.29], [5.04, 1.66, -4.69], [4.46, 2.88, -4.49], [5.37, 3.75, -3.96], [7.48, 3.48, -3.44], [7.07, 0.95, -4.33], [4.47, 0.84, -5.11], [3.50, 3.11, -4.69], [5.11, 4.76, -3.73], [-0.30, 3.33, -1.45], [-1.14, 2.66, -2.38], [-1.35, 1.39, -1.90], [-0.66, 1.27, -0.73], [-0.02, 2.45, -0.44], [0.06, 4.35, -1.51], [-1.55, 3.06, -3.29], [-1.92, 0.57, -2.30], [-0.62, 0.44, -0.16], [0.58, 2.55, 0.45], [-4.84, 1.83, 0.02], [-5.61, 0.64, -0.06], [-4.75, -0.41, 0.15], [-3.50, 0.11, 0.35], [-3.55, 1.47, 0.27], [-5.21, 2.84, -0.10], [-6.67, 0.55, -0.25], [-4.92, -1.47, 0.18], [-2.66, -0.43, 0.53], [-2.66, 2.07, 0.39], [0.70, 4.73, 4.26], [-0.60, 5.32, 4.30], [-1.42, 4.54, 3.53], [-0.67, 3.50, 3.03], [0.62, 3.61, 3.47], [1.59, 5.09, 4.76], [-0.89, 6.21, 4.83], [-2.47, 4.63, 3.30], [-1.02, 2.78, 2.43], [1.36, 2.89, 3.19], [-6.47, -4.39, -3.38], [-7.54, -3.77, -2.66], [-7.00, -2.73, -1.95], [-5.66, -2.70, -2.21], [-5.33, -3.70, -3.07], [-6.54, -5.23, -4.04], [-8.58, -4.06, -2.67], [-7.46, -2.01, -1.29], [-5.02, -2.03, -1.81], [-4.31, -3.84, -3.40]]}

=====

2.

Honestly, the moment I spotted the Isles of Pelagie in one of the three atlases we have in the house, they felt right. I crossed my fingers that when I checked the details, one of them would be right.

The first thing that caught my attention was the name. It has a French sound to my ear, but it actually derives from the Greek word pélagos, meaning ‘open sea.’ That seemed a promising sign. A name deriving from Greek, rather than French or Italian, might mean the ancient peoples were aware of these islands.

My next step was to look specifically at each island. There were three, and I needed one that could support a sizable population, because Nerine’s friend Altairos is a land-dwelling island prince.

I envisioned his setting as a city-state grown wealthy from trade. The Isles of Pelagie certainly had a great location for trade. The ancient sailors always stuck close to shore. As a narrower section of the Mediterranean, the Strait of Sicily would be a natural place to cross the sea, and the Isles would serve as a natural stepping stone for that crossing.

The island of Lampione (Lamptír to the ancient Greeks) was clearly much too small. Altairos’ city-state might trade for a lot of its food, but some would need to be produced locally. Lampione is a rocky islet with tall bluffs and no good harbor, measuring a mere 656 feet by 591 feet (200 meters by 180 meters). The palace alone would sprawl over the entire ten acres, with no room for either a city or farmland or pasturage.


Strike Lampione.

Linosa looked more promising. It’s considerably larger and, from the photo, looks to have a sheltering cove to serve as a harbor. Even better, Strabo (an ancient Greek philosopher and geographer) referred to it as Aethusa.

During the Punic Wars, the ancient Romans used it as a military base. The ruins from 150 water cisterns from this period still remain. 264 BC to 146 BC is somewhat later than my time period, 352 BC to 329 BC. But if the Romans could set up and run a permanent settlement, that would indicate that my fictional city-state might thrive there as well.


On the other hand, if the Romans took the island in 264 BC, it meant Altairos’ city-state fell to them in what might otherwise be Altairos’ happy old age. My book ends before such a gloomy happening, but why set my characters up for even unchronicled tragedy? I decided to pass on Linosa.

Lampedusa_2Lampedusa, the third island I considered (Lapadoússa to the ancients), turned out to be perfect. It is the largest of the three, with plenty of room for a modest city, a sprawling palace similar to that at Knossoss, and lots of land left over for orchards, vinyards, farming, and the grazing of livestock.

Apparently the ancient Greeks found it an excellent source for a particularly desired oyster. Historically, it hosted settlements of ancient Phoenicians, Greeks, and so on through the centuries.

My fictional city-state might not be so fictional after all. The Greeks started many colonies throughout the Mediterranean world, and there are many Greek ruins (along with ruins from other civilizations and times in history) on Lampedusa. Just because this particular settlement is not named in the surviving chronicles of the ancients does not mean it did not exist. Indeed, the ruins indicate otherwise.


The island has high cliffs on its western end, so I placed my city-state and its palace along the gentler southeastern shore, with Nerine’s reef palace in the sea farther west beside the southern coast.

This was an exciting moment. I had found the island where Altairos lived and the waters in which Nerine’s reef place was carved!

For more about the world of Fate’s Door, see:
Garb of the Sea People
Measurement in Ancient Greece
Horse Sandals and the 4th Century BC
Knossos, Model for Altairos’ Home

(Attached: records of molecules)
+++
Record 1
149
Properties=species:S:1:pos:R:3:forces:R:3 method="wB97M-V/def2-TZVPD" orbital_gap_ha=0.309 total_charge=+1
C 0.3047 -4.5680 2.6155 -0.6 -0.3 -0.6
C -1.2541 -4.4898 2.4231 1.6 0.9 -1.0
C -1.5170 -3.1686 1.6196 -0.8 0.2 1.2
C -2.9889 -3.0705 1.1003 0.3 -0.3 -0.3
C -3.1237 -2.5620 -0.3689 -0.5 0.3 1.0
C -2.2538 -1.3000 -0.7031 -0.8 -0.8 -0.9
C -1.4590 -1.5406 -2.0379 0.7 1.1 0.5
C 0.1081 -1.4347 -1.8718 -0.3 -0.4 -1.0
C 0.8581 -2.6374 -2.5410 -0.3 0.0 0.9
C 1.0862 -3.8729 -1.6032 0.6 0.4 -0.2
C 2.5203 -4.5112 -1.7888 -1.4 -1.1 0.3
C 3.1829 -4.8808 -0.4218 0.7 -0.5 -0.8
C 4.3804 -3.9652 -0.0091 -0.6 0.0 0.3
C 4.2727 -2.5178 -0.5491 0.5 0.3 0.9
C 3.1031 -1.7139 0.1048 0.1 -1.2 0.1
C 3.2316 -1.5765 1.6592 -0.7 0.8 -0.1
N 4.2660 -0.6450 2.0860 -0.4 -0.4 -0.4
C 4.0822 0.6985 1.5217 -0.1 0.1 0.5
C 3.0430 0.7809 0.3701 0.1 1.1 0.5
N 3.1055 -0.3628 -0.5771 -0.2 -0.2 1.1
H 0.7279 -4.6548 1.5929 -0.1 0.0 0.5
H 0.7190 -3.6374 3.0468 -0.3 -0.5 0.1
H 0.6229 -5.4627 3.1782 -0.1 0.5 -0.1
H -1.5579 -5.3226 1.7583 0.0 0.2 0.7
H -1.7616 -4.4998 3.3979 -0.1 -0.1 -0.5
H -1.3702 -2.3349 2.3443 0.2 -0.3 -0.5
H -0.7559 -3.0199 0.8226 -0.5 -0.4 0.3
H -3.4189 -4.0933 1.1413 0.1 0.5 0.0
H -3.5986 -2.4538 1.7891 0.4 -0.2 -0.3
H -4.1902 -2.2844 -0.5091 0.5 -0.3 -0.1
H -2.9458 -3.4203 -1.0428 0.2 0.5 0.2
H -1.6102 -0.9887 0.1402 -0.2 -0.3 -0.4
H -2.9652 -0.4678 -0.8831 0.5 -0.3 0.2
H -1.6714 -2.5124 -2.5124 -0.2 0.4 0.4
H -1.7771 -0.7376 -2.7362 0.2 -0.6 0.1
H 0.4471 -0.5245 -2.4157 -0.1 -0.4 0.5
H 0.3277 -1.3165 -0.7909 0.1 -0.2 -0.5
H 0.2347 -2.9909 -3.3871 0.6 0.4 0.2
H 1.8300 -2.2727 -2.9292 -0.4 -0.3 0.0
H 0.9911 -3.6187 -0.5242 -0.2 0.1 -0.7
H 0.2862 -4.6109 -1.8098 0.5 0.2 0.2
H 3.1552 -3.9171 -2.4671 -0.2 -0.2 0.5
H 2.3341 -5.4710 -2.3087 0.3 0.5 0.1
H 2.4203 -4.9743 0.3763 0.4 0.3 -0.4
H 3.5884 -5.9083 -0.5400 -0.2 0.5 0.2
H 4.3928 -3.9298 1.1016 0.2 0.1 -0.6
H 5.3477 -4.4313 -0.2803 -0.5 0.4 -0.2
H 5.2079 -1.9870 -0.2408 -0.4 -0.2 -0.2
H 4.2699 -2.4474 -1.6578 -0.3 -0.2 0.6
H 2.1080 -2.1474 -0.0969 0.7 0.0 0.0
H 3.3354 -2.5579 2.1523 0.1 0.4 -0.5
H 2.2687 -1.1672 2.0398 0.4 -0.3 -0.2
H 5.1912 -1.0109 1.9242 0.1 0.1 -0.1
H 5.0677 1.1168 1.2475 -0.6 -0.2 -0.1
H 3.6866 1.3445 2.3355 0.2 -0.1 -0.6
H 2.0092 0.8915 0.7764 0.9 -0.5 -0.5
H 3.2422 1.7030 -0.2063 -0.2 -0.4 0.1
H 3.9390 -0.3020 -1.1713 -0.2 0.1 0.3
H 2.3159 -0.2902 -1.2260 0.0 -0.1 0.1
C 0.0987 -8.0752 -2.9278 0.0 0.1 -0.1
Br 1.7471 -7.7800 -3.8977 -0.2 0.0 0.2
Br 0.3057 -7.7084 -1.0390 0.0 0.0 -0.2
Br -1.3688 -7.0749 -3.6944 0.2 0.0 0.2
H -0.1454 -9.1259 -3.0227 0.0 0.0 0.0
C 0.1090 3.2543 -0.4956 0.1 0.0 -0.2
Br -0.5478 1.5145 -1.0354 0.1 0.6 0.1
Br 0.9190 3.1830 1.2488 -0.3 0.3 0.2
Br 1.3311 3.9934 -1.7957 0.0 -0.1 0.3
H -0.7481 3.9165 -0.4359 0.1 0.0 0.0
C -3.2877 4.6991 2.1108 0.0 0.0 0.2
Br -2.9216 5.1486 3.9550 0.1 -0.2 -0.4
Br -2.1795 5.7154 0.8936 0.0 0.0 0.3
Br -3.1348 2.7978 1.7802 0.1 0.2 0.0
H -4.3165 4.9760 1.9116 0.1 0.0 0.0
C -3.2365 -5.6163 6.6941 0.0 -0.1 0.0
+++

